## What to do
The reader should count the lines further down that contain the word "PBE" and give the number alone.
## Material
┌──
# 1
A plane-wave DFT calculation with PBE was carried out for crystalline Cr2HgSb at its relaxed geometry.

Computed properties:
Energy relative to the elements, uncorrected, eV per atom: 0.729
Excess energy over the best structure of this formula in the dataset, meV/atom: 440
Symmetry: No. 216

The structure in CIF format:
```
data_Cr2HgSb
_symmetry_space_group_name_H-M 'P 1'
_symmetry_Int_Tables_number 1
_cell_length_a 4.9219
_cell_length_b 4.9219
_cell_length_c 4.9219
_cell_angle_alpha 60.00
_cell_angle_beta 60.00
_cell_angle_gamma 60.00
loop_
_symmetry_equiv_pos_as_xyz
'x,y,z'
loop_
_atom_site_label
_atom_site_type_symbol
_atom_site_fract_x
_atom_site_fract_y
_atom_site_fract_z
Cr1 Cr 0.0000 0.0000 0.0000
Cr2 Cr 0.2500 0.2500 0.2500
Hg1 Hg 0.5000 0.5000 0.5000
Sb1 Sb 0.7500 0.7500 0.7500
```

***

# 2
A plane-wave DFT calculation with PBE was carried out for crystalline Rb2BaY at its relaxed geometry.

Computed properties:
Formation energy from the elements, eV/atom: 0.603
Excess energy over the best structure of this formula in the dataset, meV/atom: 0
Symmetry: No. 225

The structure in CIF format:
```
data_Rb2BaY
_symmetry_space_group_name_H-M 'P 1'
_symmetry_Int_Tables_number 1
_cell_length_a 6.9183
_cell_length_b 6.9183
_cell_length_c 6.9183
_cell_angle_alpha 60.00
_cell_angle_beta 60.00
_cell_angle_gamma 60.00
loop_
_symmetry_equiv_pos_as_xyz
'x,y,z'
loop_
_atom_site_label
_atom_site_type_symbol
_atom_site_fract_x
_atom_site_fract_y
_atom_site_fract_z
Y1 Y 0.0000 0.0000 0.0000
Ba1 Ba 0.5000 0.5000 0.5000
Rb1 Rb 0.2500 0.2500 0.2500
Rb2 Rb 0.7500 0.7500 0.7500
```

***

# 3
A plane-wave DFT calculation with PBE was carried out for crystalline VCo3H at its relaxed geometry.

Computed properties:
Excess energy over the best structure of this formula in the dataset, meV/atom: 71
Symmetry: No. 14

The structure in CIF format:
```
data_VCo3H
_symmetry_space_group_name_H-M 'P 1'
_symmetry_Int_Tables_number 1
_cell_length_a 21.4437
_cell_length_b 4.4203
_cell_length_c 8.2507
_cell_angle_alpha 90.00
_cell_angle_beta 166.19
_cell_angle_gamma 90.00
loop_
_symmetry_equiv_pos_as_xyz
'x,y,z'
loop_
_atom_site_label
_atom_site_type_symbol
_atom_site_fract_x
_atom_site_fract_y
_atom_site_fract_z
H1 H 0.6057 0.7355 0.7679
H2 H 0.3943 0.2645 0.2321
H3 H 0.8943 0.2355 0.7321
H4 H 0.1057 0.7645 0.2679
Co1 Co 0.3758 0.9229 0.0604
Co2 Co 0.6242 0.0771 0.9396
Co3 Co 0.1242 0.4229 0.4396
Co4 Co 0.8758 0.5771 0.5604
Co5 Co 0.3659 0.5901 0.2977
Co6 Co 0.6341 0.4099 0.7023
Co7 Co 0.1341 0.0901 0.2023
Co8 Co 0.8659 0.9099 0.7977
Co9 Co 0.3724 0.9144 0.5574
Co10 Co 0.6276 0.0856 0.4426
Co11 Co 0.1276 0.4144 0.9426
Co12 Co 0.8724 0.5856 0.0574
V1 V 0.1180 0.0900 0.6668
V2 V 0.8820 0.9100 0.3332
V3 V 0.3820 0.5900 0.8332
V4 V 0.6180 0.4100 0.1668
```

***

# 4
A plane-wave DFT calculation with PBE was carried out for crystalline CoMoIr2 at its relaxed geometry.

Computed properties:
Formation energy from the elements, eV/atom: 0.167
Excess energy over the best structure of this formula in the dataset, meV/atom: 352
Symmetry: No. 99

The structure in CIF format:
```
data_CoMoIr2
_symmetry_space_group_name_H-M 'P 1'
_symmetry_Int_Tables_number 1
_cell_length_a 3.2364
_cell_length_b 3.2364
_cell_length_c 5.4144
_cell_angle_alpha 90.00
_cell_angle_beta 90.00
_cell_angle_gamma 90.00
loop_
_symmetry_equiv_pos_as_xyz
'x,y,z'
loop_
_atom_site_label
_atom_site_type_symbol
_atom_site_fract_x
_atom_site_fract_y
_atom_site_fract_z
Co1 Co 0.5000 0.5000 0.7570
Ir1 Ir 0.0000 0.0000 0.9741
Ir2 Ir 0.5000 0.5000 0.2544
Mo1 Mo 0.0000 0.0000 0.5145
```

***

# 5
A plane-wave DFT calculation with PBE was carried out for crystalline Tb2Co5Si2Ge at its relaxed geometry.

Computed properties:
Energy relative to the elements, uncorrected, eV per atom: -0.403
Symmetry: No. 127

The structure in CIF format:
```
data_Tb2Co5Si2Ge
_symmetry_space_group_name_H-M 'P 1'
_symmetry_Int_Tables_number 1
_cell_length_a 3.2919
_cell_length_b 9.3795
_cell_length_c 9.3795
└──
## Here it is
5